┌──
Entry 1:
The following is a PBE calculation of crystalline CsTcAs2Br at its relaxed geometry, from Alexandria.

Cell: 4.8291 4.8291 6.0059 Å, 90.00 90.00 90.00°
Sites, in units of the cell vectors:
Cs 0.0000 0.0000 0.0000
Tc 0.5000 0.5000 0.5000
As 0.0000 0.5000 0.5000
As 0.5000 0.0000 0.5000
Br 0.5000 0.5000 0.0000

Computed properties:
ΔE to the lowest computed polymorph = 0.000 eV/atom
space-group type = P4/mmm

---

Entry 2:
The following is a PBE calculation of crystalline CsTeAs2Br at its relaxed geometry, from Alexandria.

Cell: 6.2422 6.2422 6.5568 Å, 90.00 90.00 90.00°
Sites, in units of the cell vectors:
Cs 0.0000 0.0000 0.0000
Te 0.5000 0.5000 0.5000
As 0.0000 0.5000 0.0000
As 0.5000 0.0000 0.0000
Br 0.0000 0.0000 0.5000

Computed properties:
ΔE to the lowest computed polymorph = 1.216 eV/atom
space-group type = P4/mmm

---

Entry 3:
The following is a PBE calculation of crystalline CsTeAsBr2 at its relaxed geometry, from Alexandria.

Cell: 6.0637 6.0637 5.3209 Å, 90.00 90.00 90.00°
Sites, in units of the cell vectors:
Cs 0.0000 0.0000 0.0000
Te 0.5000 0.5000 0.5000
As 0.5000 0.5000 0.0000
Br 0.0000 0.5000 0.5000
Br 0.5000 0.0000 0.5000

Computed properties:
electronic total energy = -14.1 eV/cell
space-group type = P4/mmm

---

Entry 4:
The following is a PBE calculation of crystalline CsTeAs2Br at its relaxed geometry, from Alexandria.

Cell: 5.3796 5.3796 6.6030 Å, 90.00 90.00 90.00°
Sites, in units of the cell vectors:
Cs 0.0000 0.0000 0.0000
Te 0.5000 0.5000 0.5000
As 0.0000 0.5000 0.5000
As 0.5000 0.0000 0.5000
Br 0.5000 0.5000 0.0000

Computed properties:
ΔE to the lowest computed polymorph = 0.000 eV/atom
space-group type = P4/mmm

---

Entry 5:
The following is a PBE calculation of crystalline CsTiAs2Br at its relaxed geometry, from Alexandria.

Cell: 4.9370 4.9370 5.9955 Å, 90.00 90.00 90.00°
Sites, in units of the cell vectors:
Cs 0.0000 0.0000 0.0000
Ti 0.5000 0.5000 0.5000
As 0.0000 0.5000 0.5000
As 0.5000 0.0000 0.5000
Br 0.5000 0.5000 0.0000

Computed properties:
ΔE to the lowest computed polymorph = 0.000 eV/atom
space-group type = P4/mmm

---

Entry 6:
The following is a PBE calculation of crystalline CsTiAs2Br at its relaxed geometry, from Alexandria.

Cell: 5.7955 5.7955 6.2085 Å, 90.00 90.00 90.00°
Sites, in units of the cell vectors:
Cs 0.0000 0.0000 0.0000
Ti 0.5000 0.5000 0.5000
As 0.0000 0.5000 0.0000
As 0.5000 0.0000 0.0000
Br 0.0000 0.0000 0.5000

Computed properties:
ΔE to the lowest computed polymorph = 2.000 eV/atom
space-group type = P4/mmm

---

Entry 7:
The following is a PBE calculation of crystalline Cs2TiAsBr6 at its relaxed geometry, from Alexandria.

Cell: 8.2894 8.2894 8.2894 Å, 125.80 125.80 80.21°
Sites, in units of the cell vectors:
Cs 0.2500 0.7500 0.5000
Cs 0.7500 0.2500 0.5000
Ti 0.0000 0.0000 0.0000
As 0.5000 0.5000 0.0000
Br 0.2032 0.2032 0.0000
Br 0.2482 0.2482 0.4964
Br 0.2482 0.7518 0.0000
Br 0.7518 0.2482 0.0000
Br 0.7518 0.7518 0.5036
Br 0.7968 0.7968 0.0000

Computed properties:
electronic total energy = -35.0 eV/cell
space-group type = I4/mmm

---

Entry 8:
The following is a PBE calculation of crystalline CsTlAs2Br at its relaxed geometry, from Alexandria.

Cell: 5.4212 5.4212 6.6382 Å, 90.00 90.00 90.00°
Sites, in units of the cell vectors:
Cs 0.0000 0.0000 0.0000
Tl 0.5000 0.5000 0.5000
As 0.0000 0.5000 0.5000
As 0.5000 0.0000 0.5000
Br 0.5000 0.5000 0.0000

Computed properties:
ΔE to the lowest computed polymorph = 0.000 eV/atom
space-group type = P4/mmm

---

Entry 9:
The following is a PBE calculation of crystalline Cs2TlAsBr6 at its relaxed geometry, from Alexandria.

Cell: 8.1773 8.2789 14.2366 Å, 90.00 124.89 90.00°
Sites, in units of the cell vectors:
Cs 0.2390 0.0408 0.2494
Cs 0.2390 0.4592 0.7494
Cs 0.7610 0.5408 0.2506
Cs 0.7610 0.9592 0.7506
Tl 0.5000 0.0000 0.0000
Tl 0.5000 0.5000 0.5000
As 0.0000 0.0000 0.5000
As 0.0000 0.5000 0.0000
Br 0.1673 0.2388 0.9754
Br 0.1673 0.2612 0.4754
Br 0.2348 0.6929 0.9734
Br 0.2348 0.8071 0.4734
└──

Count the lines above that contain the word "Tl" and give the number alone.

3